The Island’s pension regulations are robust yet highly flexible, allowing corporate clients the freedom to tailor international retirement solutions to the diverse demands of their international operations. Being in a respected and mature international finance centre, the Isle of Man’s scheme administrators, and support services such as banks and investment managers, are well used to the rigours of multi-currency, cross border pension arrangements.

~~~
Record 1
This entry pairs a crystal structure of BaLi2Ag8 with its theoretical X-ray diffraction stick pattern. Radiation: Cu Ka. Structure: DFT lattice parameters and positions (GGA-PBE).
Kinematic intensities with the Lorentz-polarization factor, no thermal factor.

Structural model:
```
BaLi2Ag8
1.0
5.478 0.000 0.000
0.000 5.478 0.000
0.000 0.000 9.654
Ba Li Ag
1 2 8
Cartesian
0.000 0.000 0.000
0.000 2.739 4.827
2.739 0.000 4.827
1.377 1.377 2.827
1.377 1.377 6.827
1.377 4.101 2.827
1.377 4.101 6.827
4.101 1.377 2.827
4.101 1.377 6.827
4.101 4.101 2.827
4.101 4.101 6.827
```

Main lines, most intense first (2θ from 10° to 90°):
two_theta	I_rel
37.8	100
18.4	74
32.7	51
27.7	41
46.9	34
58.5	31
55.4	22
43.4	22
34.0	21
81.0	20

Record 2
This entry pairs a crystal structure of CsI4O12 with its theoretical X-ray diffraction stick pattern. Radiation: Cu Ka. Structure: DFT lattice parameters and positions (GGA-PBE).
Kinematic intensities with the Lorentz-polarization factor, no thermal factor.

Structural model:
```
CsI4O12
1.0
-4.026 4.026 4.026
4.026 -4.026 4.026
4.026 4.026 -4.026
Cs I O
1 4 12
Cartesian
0.000 0.000 0.000
2.013 2.013 -2.013
2.013 -2.013 2.013
-2.013 2.013 2.013
2.013 2.013 2.013
4.026 2.181 -1.784
2.241 0.000 1.845
5.810 0.000 1.845
1.845 2.241 0.000
2.181 -1.784 4.026
4.026 2.181 1.784
0.000 1.845 2.241
1.845 5.810 0.000
2.181 1.784 4.026
-1.784 4.026 2.181
1.784 4.026 2.181
0.000 1.845 5.810
```

Main lines, most intense first (2θ from 10° to 90°):
two_theta	I_rel
31.4	100
22.1	75
55.9	43
45.0	36
50.7	29
15.6	27
65.6	21
74.5	18
27.1	16
70.1	13

Record 3
This entry pairs a crystal structure of SnPdF6 with its theoretical X-ray diffraction stick pattern. Radiation: Cu Ka. Structure: DFT lattice parameters and positions (GGA-PBE).
Kinematic intensities with the Lorentz-polarization factor, no thermal factor.

Structural model:
```
SnPdF6
1.0
5.205 0.000 0.000
-2.603 4.508 0.000
0.000 0.000 9.921
Sn Pd F
2 2 12
Cartesian
0.000 0.000 0.000
0.000 0.000 4.960
0.000 3.005 2.480
2.603 1.503 7.440
-0.803 1.430 1.167
-1.766 3.097 3.793
0.803 1.430 3.793
-0.963 4.489 1.167
1.640 0.019 6.127
0.837 1.411 8.753
1.766 3.097 1.167
0.963 4.489 3.793
3.565 0.019 8.753
1.799 3.078 6.127
4.369 1.411 6.127
3.406 3.078 8.753
```

Main lines, most intense first (2θ from 10° to 90°):
two_theta	I_rel
26.7	100
21.7	50
50.9	44
44.1	26
57.2	25
34.5	24
19.7	19
61.7	16
33.6	15
39.1	12

* * * * *

Diffraction record for Sr2PuMnO5. The X-ray diffraction stick pattern is calculated, not measured: it uses a crystal structure in Alexandria, relaxed with PBE+U and Cu Ka.
Neutral-atom scattering factors, no anomalous dispersion.

Atomic structure:
```
Sr2PuMnO5
1.0
4.273 0.000 0.000
0.000 4.273 0.000
0.000 0.000 8.480
Sr Pu Mn O
2 1 1 5
Cartesian
0.000 0.000 1.989 Sr
0.000 0.000 6.492 Sr
2.137 2.137 0.000 Pu
2.137 2.137 4.240 Mn
0.000 0.000 4.240 O
0.000 2.137 0.000 O
2.137 0.000 0.000 O
2.137 2.137 2.264 O
2.137 2.137 6.216 O
```
~~~


For expatriate individuals who are looking to save for their retirement, Isle of Man pension companies provide a range of individual arrangements to suit their savings needs, from short-term to long-term, and from regular payments to lump sums.

All pension funds on the Isle of Man grow free of any Isle of Man tax and their providers are regulated by the Isle of Man Financial Services Authority (FSA).


For senior employees where traditional pensions scheme do not meet their requirements, a company may wish to provide a bespoke pension or long-term reward arrangement. Both national and global employers alike are increasingly looking to use specialist vehicles for equalising reward schemes across national frontiers. Many have preferred the Isle of Man recognising the stability, long established Trust and Company law as well as the security and regulation offered by the Island’s regulation of its finance industry.

**These calculated crystals were left in the page by mistake:**
........
Starting from the PBE geometry in the Materials Project, the X-ray powder pattern of CsBe2BO3F2 was computed for Cu Kα X-rays.
No peak broadening, texture or thermal motion is included.

Cell and atoms:
```
data_CsBe2BO3F2
_chemical_formula_sum 'Cs3 Be6 B3 O9 F6'
_symmetry_space_group_name_H-M 'R 3 2'
_symmetry_Int_Tables_number 155
_symmetry_space_group_name_Hall 'R 3 2"'
_cell_length_a 4.4825
_cell_length_b 4.4825
_cell_length_c 22.1155
_cell_angle_alpha 90.00
_cell_angle_beta 90.00
_cell_angle_gamma 120.00
loop_
_atom_site_label
_atom_site_type_symbol
_atom_site_fract_x
_atom_site_fract_y
_atom_site_fract_z
_atom_site_occupancy
Cs1 Cs 0.0000 0.0000 0.0000 1
Be1 Be 0.0000 0.0000 0.1919 1
B1 B 0.0000 0.0000 0.5000 1
O1 O 0.0000 0.6913 0.5000 1
........


A Qualifying Recognised Overseas Pensions Scheme (QROPS) established in the Isle of Man can be highly attractive for individuals moving to the Island, as evidenced by the large number of Isle of Man schemes on the HMRC QROPS list. In addition the Island has a growing network of international double tax treaties which potentially enable scheme members to take pension benefits from an Isle of Man QROPS in a tax efficient manner.

# These records of crystals were left in the page by mistake
~~~
The following is a simulated powder diffraction line list of AcCe2As3. It was derived from a cell relaxed with PBE, using Cu Kα.
Kinematic intensities with the Lorentz-polarization factor, no thermal factor.

Crystal structure
Cell: 4.3297 6.1600 13.0183 Å, 90.00 90.00 90.00°
Space group Immm (No. 71)
Unique sites:
Ac: 0.0000 0.0000 0.0000 (multiplicity 2)
Ce: 0.0000 0.0000 0.3347 (multiplicity 4)
As: 0.0000 0.5000 0.0000 (multiplicity 2)
As: 0.0000 0.5000 0.3222 (multiplicity 4)

Principal peaks in the range 2θ = 10–80°, low angle first:
2θ/deg, I_rel
25.12, 38
28.99, 51
29.14, 100
41.58, 95
41.72, 19
49.28, 14
51.56, 41
60.40, 12
68.14, 18
68.37, 26
75.77, 13
76.06, 13



The following is a simulated powder diffraction line list of Er2ZnCu2Rh5. It was derived from a cell relaxed with PBE, using Cu Kα.
Kinematic intensities with the Lorentz-polarization factor, no thermal factor.

Crystal structure
Cell: 9.2040 9.2040 3.8114 Å, 90.00 90.00 90.00°
Space group P4/mbm (No. 127)
Unique sites:
Er: 0.1743 0.3257 0.0000 (multiplicity 4)
Zn: 0.0000 0.0000 0.0000 (multiplicity 2)
Cu: 0.1237 0.6237 0.0000 (multiplicity 4)
Rh: 0.0000 0.5000 0.5000 (multiplicity 2)
Rh: 0.0681 0.7984 0.5000 (multiplicity 8)

Principal peaks in the range 2θ = 10–80°, low angle first:
2θ/deg, I_rel
30.45, 12
32.00, 36
36.30, 20
38.93, 100
40.41, 51
41.63, 20
42.63, 34
44.00, 12
46.08, 11
47.72, 28
64.27, 26
65.16, 10



The following is a simulated powder diffraction line list of Pu2O3. It was derived from a cell relaxed with PBE, using Cu Kα.
Kinematic intensities with the Lorentz-polarization factor, no thermal factor.

Crystal structure
Cell: 3.8238 3.8238 5.4791 Å, 90.00 90.00 90.00°
Space group P-4m2 (No. 115)
Unique sites:
Pu: 0.0000 0.5000 0.2335 (multiplicity 2)
O: 0.0000 0.0000 0.0000 (multiplicity 1)
O: 0.0000 0.0000 0.5000 (multiplicity 1)
O: 0.5000 0.5000 0.0000 (multiplicity 1)

Principal peaks in the range 2θ = 10–80°, low angle first:
2θ/deg, I_rel
28.46, 100
32.69, 13
33.13, 27
47.23, 30
47.56, 15
55.78, 15
56.36, 31
58.91, 11
76.28, 12
76.78, 6
78.97, 5
79.22, 5



The following is a simulated powder diffraction line list of Cd2PbF7. It was derived from a cell relaxed with PBE, using Cu Kα.
Kinematic intensities with the Lorentz-polarization factor, no thermal factor.

Crystal structure
Cell: 3.8475 3.8475 17.7845 Å, 90.00 90.00 90.00°
Space group I4/mmm (No. 139)
Unique sites:
Cd: 0.0000 0.0000 0.1722 (multiplicity 4)
Pb: 0.0000 0.0000 0.5000 (multiplicity 2)
F: 0.0000 0.0000 0.0000 (multiplicity 2)
F: 0.0000 0.5000 0.0959 (multiplicity 8)
F: 0.0000 0.5000 0.2500 (multiplicity 4)

Principal peaks in the range 2θ = 10–80°, low angle first:
2θ/deg, I_rel
27.64, 100
30.15, 13
32.92, 21
38.81, 6
45.24, 47
47.25, 21
52.03, 17
55.62, 29
57.08, 10
69.05, 6
72.90, 12
75.91, 6



The following is a simulated powder diffraction line list of Pr4Bi3H. It was derived from a cell relaxed with PBE, using Cu Kα.
~~~


A QNUPS is a Qualifying Non UK Pension Scheme and was introduced in the UK in 2010. Creating the ability to fund for retirement, in a tax efficient manner QNUPS are becoming popular for those wishing to fund over and above any retirement planning in place already. As a recognised pension jurisdiction, the Isle of Man is well placed to provide these schemes which can be tailored in line with individual requirements. There are no reporting requirements from the QNUPS to HMRC, and QNUPS benefit from a UK IHT exemption in respect of UK tax relieved pension funds that have been transferred to a QNUPS (which may also be a QROPS), contributions to a QNUPS by a current or previous UK resident and assets held by a QNUPS.